f you neHave you ever heard of VOCs? The acronym, which is short for volatile organic compounds, isn’t a common topic amongst homeowners, but it should be.
Put simply, VOCs are chemicals that are emitted as gases and can be found in all living things and everyday items you use in your home. Your furniture, carpet, blinds, wood floors, ovens, heating systems, air fresheners, and cleaning products all contain VOCs. And considering we spend an ample amount of our time in our homes (and the homes of others) it’s important to understand the effects these chemicals can have on us.
Often containing carbon, hydrogen, oxygen, fluorine, chlorine, bromine, sulfur or nitrogen, these organic compounds easily vaporize and can be dangerous to humans. Because VOCs are present in our day-to-day lives and present health concerns to humans and animals alike, it is important to understand the nature of these compounds and how to reduce your exposure.
Are VOCs Dangerous?
VOCs are potentially dangerous to humans because they can cause significant health issues in both short term and long term exposure.
VOCs contaminants can be divided into a few main categories:
- Tobacco smoke
- Other combustion products (stoves, ovens, heaters, fireplaces)
- Biologicals (animal dander, mold, dust mites, etc.)
- Chemicals like formaldehyde, pesticides, solvents, paint (interior and exterior), cleaning products, and air fresheners
- Heavy metals like airborne lead and mercury vapor
Here the page breaks off for data records:
Entry 1:
DFT (PBE) results for KS4Br after structural relaxation.

Cell lengths 9.4842, 6.0241, 8.0685 Å; angles 90.00, 114.92, 90.00 degrees
Last column: nearest neighbours and their distance in Å.
Space group Cm (No. 8)
Inequivalent atoms, fractional coordinates:
K: 0.0000 0.0000 0.0000  3 Br 3.23-3.40, 1 S 3.47
S: 0.0367 0.2461 0.4421  2 S 2.06-2.10
S: 0.1152 0.0000 0.6447  2 S 2.10
S: 0.1871 0.5000 0.4556  2 S 2.06
Br: 0.1432 0.5000 0.9496  3 K 3.23-3.40

Formation energy from raw total energies ... -2.35 eV/f.u.

Entry 2:
DFT (PBE) results for CsNb3O after structural relaxation.

Cell lengths 4.4910, 4.4910, 4.4910 Å; angles 90.00, 90.00, 90.00 degrees
Last column: nearest neighbours and their distance in Å.
Space group Pm-3m (No. 221)
Inequivalent atoms, fractional coordinates:
Cs: 0.0000 0.0000 0.0000  12 Nb 3.18
Nb: 0.0000 0.5000 0.5000  2 O 2.25
O: 0.5000 0.5000 0.5000  6 Nb 2.25

Polymorph energy (0 for the lowest one) ... 0.000 eV per atom
Formation energy from raw total energies ... 3.11 eV/f.u.

Entry 3:
DFT (PBE) results for P2C after structural relaxation.

Cell lengths 3.1521, 2.7624, 6.5526 Å; angles 90.00, 103.66, 90.00 degrees
Last column: nearest neighbours and their distance in Å.
Space group Pm (No. 6)
Inequivalent atoms, fractional coordinates:
P: 0.0000 0.0000 0.0000  2 C 1.75
P: 0.2156 0.5000 0.4402  1 C 1.73
C: 0.0829 0.5000 0.1692  3 P 1.73-1.75

E_form ... 55.3 kJ per mole of atoms
Polymorph energy (0 for the lowest one) ... 0.143 eV per atom

Entry 4:
DFT (PBE) results for IrPdO2 after structural relaxation.

Cell lengths 3.1347, 3.1347, 17.9675 Å; angles 90.00, 90.00, 120.00 degrees
Last column: nearest neighbours and their distance in Å.
Space group R-3m (No. 166, hexagonal axes)
Inequivalent atoms, fractional coordinates:
Ir: 0.0000 0.0000 0.0000  6 O 2.05
Pd: 0.0000 0.0000 0.5000  2 O 2.03
O: 0.0000 0.0000 0.3872  1 Pd 2.03, 3 Ir 2.05

Polymorph energy (0 for the lowest one) ... 0.000 eV per atom
Formation energy from raw total energies ... -1.34 eV/f.u.

Entry 5:
DFT (PBE) results for NaYHf after structural relaxation.

Cell lengths 3.3924, 3.3926, 17.4360 Å; angles 90.04, 90.15, 119.99 degrees
Last column: nearest neighbours and their distance in Å.
Space group P1 (No. 1)
Inequivalent atoms, fractional coordinates:
Na: 0.0000 0.0000 0.0000  6 Na 3.39, 1 Y 3.79
Na: 0.3152 0.6465 0.1894  6 Na 3.39, 2 Y 3.79-3.80
Y: 0.3294 0.6581 0.8131  3 Hf 3.26, 6 Y 3.39
Y: 0.9851 0.9842 0.3760  3 Hf 3.26, 6 Y 3.39
Hf: 0.3221 0.6532 0.5254  9 Hf 3.10-3.39, 3 Y 3.26
Hf: 0.9926 0.9890 0.6637  9 Hf 3.10-3.39, 3 Y 3.26

E_form ... 12.5 kJ per mole of atoms
Polymorph energy (0 for the lowest one) ... 0.011 eV per atom

Entry 6:
DFT (PBE) results for Al8Pt after structural relaxation.

Cell lengths 8.4605, 8.4605, 4.0057 Å; angles 90.00, 90.00, 90.00 degrees
Last column: nearest neighbours and their distance in Å.
Space group I4/mmm (No. 139)
Inequivalent atoms, fractional coordinates:
- Two long-term VOC risk factors: asbestos and radon
Short-Term Health Effects and Symptoms of VOCs
VOCs include a handful of different chemicals that have various short and long-term health effects. The severity of the health consequences, and how the health consequences will manifest depends on the specific source of contamination.
Possible symptoms and short-term health effects of VOCs include:
- Headache
- Nausea
- Confusion
- Cough
- Wheezing or restricted breathing
- Dizziness
- Nose and throat irritation
- Skin irritation
- Fatigue
- Emesis
- Epistaxis or nosebleed (formaldehyde)
- Visual disorders
- Eye infection
- Respiratory tract infection and irritation
- Memory loss
Some of the more innocuous symptoms like dizziness and headache can have the most serious, dangerous health consequences.
If dizziness and headaches are a common symptom for you, you may want to monitor the levels of carbon monoxide (CO) in your home. The combination of several sources of carbon monoxide like environmental tobacco smoke, ovens, and heating systems can cause a building up of carbon monoxide indoors.
Exposure to CO shows up as something called “carboxyhemoglobin” in your blood. If you are experiencing headaches and fatigue, the CO levels could be halfway to the level that causes a loss of consciousness (and death at continued exposure).
You will begin to experience fatigue and headache when the carboxyhemoglobin level reaches 30 percent in your blood. A loss of consciousness and death at continued exposure occurs at a 60 percent saturation of carboxyhemoglobin, according to the EPA.
Long-Term Health Effects and Symptoms of VOCs
If nosebleeds and loss of consciousness aren’t bad enough, there are a whole host of negative long-term health consequences from exposure to volatile organic compounds as well.
Some of the long-term signs of VOC exposure can disguise themselves as seemingly normal symptoms like an allergic skin reaction or leg cramps. If you have unexplained allergies, respiratory illnesses, chest tightness, or changes in breathing, try to think about if you are spending more time in a new indoor environment.
Other long-term health effects include:
- Asthma
- Allergic skin reaction (sometimes lasting until the contaminant is removed)
- Hearing loss
- Tremor, lack of coordination (heavy metals like airborne lead and mercury vapor), muscle cramps
- Seizures/loss of consciousness
- Chronic learning deficits
- Hyperactivity
- Reduced attention span
- Intermittent fever
- Personality change
- Neurological dysfunction
- Lung cancer
Lung cancer is another grave concern about the long-term health consequences of VOCs. Radon is the 2nd leading cause of lung cancer in America after smoking and The National Cancer Institute estimates that 15,000-22,000 lung cancer deaths per year are related to radon.
The negative impacts of volatile organic compounds are not limited only to living humans. Babies and pregnant women are also at extreme risk of experiencing consequences from VOCs. The Ministry of Environment in Korea performed an extensive study of 1,558 pregnant women across three cities and found a strong correlation between exposure to VOCs (particularly chemicals from cleaners and air fresheners, and the chemical benzene) to a lower birth weight. Exposure to some heavy metal VOCs has also been linked to an increased risk of learning disabilities in children, according to the EPA.
How Are Humans Exposed to VOCs?
VOCs are far more present in our day-to-day lives than many people realize, and because the compounds are found in thousands of different common household products, oftentimes levels of VOCs are two to fives time more concentrated indoors than outside.
Just some of the main sources of VOCs include:
_Crystal structures, as found in the file_
........
A plane-wave DFT calculation with PBE+U was carried out for crystalline CrBiF2 at its relaxed geometry.

a = 9.125 Å, b = 9.125 Å, c = 9.125 Å
α = 21.17°, β = 21.17°, γ = 21.17°
Positions (direct):
Cr 0.000 0.000 0.000
Bi 0.500 0.500 0.500
F 0.367 0.367 0.367
F 0.633 0.633 0.633

## Properties
Mass density = 5.72 Mg/m³
Offset from the most stable computed form = 0.00 eV per formula unit
V = 86.80 Å³/cell
Total DFT energy (no corrections) = -5.34 eV/atom
Total magnetization = 3.97 μB/cell

----------

# 1
Entry from Alexandria: Cr2ReBr after structural relaxation (PBE).

Unit cell a=4.5629 b=4.5629 c=2.9457 alpha=90.00 beta=90.00 gamma=103.62
Last column: nearest neighbours and their distance in Å.
Fractional positions:
Cr 0.5000 0.5000 0.0000  4 Re 2.72, 4 Br 2.72, 4 Cr 2.82-2.95
Cr 0.0000 0.0000 0.0000  4 Br 2.72, 4 Re 2.72, 4 Cr 2.82-2.95
Re 0.5000 0.0000 0.5000  8 Cr 2.72, 2 Br 2.82, 2 Re 2.95
Br 0.0000 0.5000 0.5000  8 Cr 2.72, 2 Re 2.82, 2 Br 2.95

Output
E_tot = -29.82 eV for the cell shown
Calculated volume = 59.60 Å³ per cell
E above lowest polymorph = 513.9 meV per atom
Raw formation energy = 887 meV per atom

---

# 2
Entry from Alexandria: Sm2Dy5ErTm after structural relaxation (PBE).

Unit cell a=8.5246 b=8.5246 c=9.9494 alpha=115.37 beta=115.37 gamma=90.00
Last column: nearest neighbours and their distance in Å.
Fractional positions:
Sm 0.3815 0.8815 0.0000  1 Sm 2.86, 2 Dy 3.02
Sm 0.8815 0.6185 0.0000  1 Sm 2.86, 2 Dy 3.02
Sm 0.1185 0.3815 0.0000  1 Sm 2.86, 2 Dy 3.02
Sm 0.6185 0.1185 0.0000  1 Sm 2.86, 2 Dy 3.02
Dy 0.1460 0.0721 0.7181  1 Sm 3.02, 1 Er 3.09
Dy 0.9279 0.4279 0.2819  1 Sm 3.02, 1 Er 3.09
Dy 0.6460 0.1460 0.7181  1 Sm 3.02, 1 Er 3.09
Dy 0.4279 0.3540 0.2819  1 Sm 3.02, 1 Er 3.09
Dy 0.0000 0.0000 0.0000  4 Sm 3.41, 8 Dy 3.78
Dy 0.0721 0.5721 0.7181  1 Sm 3.02, 1 Er 3.09
Dy 0.8540 0.9279 0.2819  1 Sm 3.02, 1 Er 3.09
Dy 0.5721 0.6460 0.7181  1 Sm 3.02, 1 Er 3.09
Dy 0.5000 0.5000 0.0000  4 Sm 3.41, 8 Dy 3.78
Dy 0.3540 0.8540 0.2819  1 Sm 3.02, 1 Er 3.09
Tm 0.2500 0.2500 0.5000  8 Dy 3.50
Tm 0.7500 0.7500 0.5000  8 Dy 3.50
Er 0.7500 0.2500 0.5000  4 Dy 3.09
Er 0.2500 0.7500 0.5000  4 Dy 3.09

Output
E_tot = -77.79 eV for the cell shown
Calculated volume = 575.22 Å³ per cell
Energy of formation = 0.2873 eV per atom

---

# 3
Entry from Alexandria: TcTe2PN after structural relaxation (PBE).

Unit cell a=5.2206 b=4.4553 c=5.2206 alpha=90.00 beta=90.00 gamma=90.00
Last column: nearest neighbours and their distance in Å.
Fractional positions:
N 0.5000 0.5000 0.5000  8 Te 3.43, 4 Tc 3.69
P 0.0000 0.0000 0.0000  2 Tc 2.23
Te 0.5000 0.0000 0.0000  2 P 2.61
Te 0.0000 0.0000 0.5000  2 P 2.61
Tc 0.0000 0.5000 0.0000  2 P 2.23

Output
E_tot = -20.94 eV for the cell shown
Calculated volume = 121.43 Å³ per cell
E above lowest polymorph = 1339.2 meV per atom
Raw formation energy = 1890 meV per atom

---

# 4
Entry from Alexandria: NpTcAgO6 after structural relaxation (PBE).
........
- Adhesives
- Air fresheners
- Carpets
- Cleaning products
- Composite wood products
- Cosmetics
- Fuel
- Moth balls
- Paints
- Sealing caulks
- Solvents
Misplaced crystal structures =
/*
Entry 1:
Density functional theory data (meta-GGA SCAN) for a PBEsol-optimized structure of CdWIN2.

Unit cell a=4.1410 b=4.1410 c=6.8851 alpha=90.00 beta=90.00 gamma=90.00
Space group P4/mmm (No. 123)
Inequivalent atoms, fractional coordinates:
Cd 0.0000 0.0000 0.0000 (multiplicity 1)
W 0.5000 0.5000 0.5000 (multiplicity 1)
I 0.0000 0.0000 0.5000 (multiplicity 1)
N 0.0000 0.5000 0.0000 (multiplicity 2)

Output
Spin magnetization   8.04 μB per formula unit

=====

Entry 2:
Density functional theory data (meta-GGA SCAN) for a PBEsol-optimized structure of CdWIN2.

Unit cell a=3.9873 b=3.9873 c=5.6942 alpha=90.00 beta=90.00 gamma=90.00
Space group P4/mmm (No. 123)
Inequivalent atoms, fractional coordinates:
Cd 0.0000 0.0000 0.0000 (multiplicity 1)
W 0.5000 0.5000 0.5000 (multiplicity 1)
I 0.5000 0.5000 0.0000 (multiplicity 1)
N 0.0000 0.5000 0.5000 (multiplicity 2)

Output
Spin magnetization   0.02 μB per formula unit

=====

Entry 3:
Density functional theory data (meta-GGA SCAN) for a PBEsol-optimized structure of ZrCdIN2.

Unit cell a=4.1721 b=4.1721 c=5.9699 alpha=90.00 beta=90.00 gamma=90.00
Space group P4/mmm (No. 123)
Inequivalent atoms, fractional coordinates:
Zr 0.0000 0.0000 0.0000 (multiplicity 1)
Cd 0.5000 0.5000 0.5000 (multiplicity 1)
I 0.0000 0.0000 0.5000 (multiplicity 1)
N 0.0000 0.5000 0.0000 (multiplicity 2)

Output
Spin magnetization   1.36 μB per formula unit

=====

Entry 4:
Density functional theory data (meta-GGA SCAN) for a PBEsol-optimized structure of NaCd2I2.

Unit cell a=6.0338 b=6.0338 c=9.3076 alpha=90.00 beta=90.00 gamma=90.00
Space group I4/mmm (No. 139)
Inequivalent atoms, fractional coordinates:
Na 0.0000 0.0000 0.0000 (multiplicity 2)
Cd 0.0000 0.0000 0.3545 (multiplicity 4)
I 0.0000 0.5000 0.2500 (multiplicity 4)

Output
Spin magnetization   0.00 μB per formula unit

=====

Entry 5:
Density functional theory data (meta-GGA SCAN) for a PBEsol-optimized structure of NbCdI3.

Unit cell a=5.6558 b=5.6558 c=5.6558 alpha=90.00 beta=90.00 gamma=90.00
Space group Pm-3m (No. 221)
Inequivalent atoms, fractional coordinates:
Nb 0.0000 0.0000 0.0000 (multiplicity 1)
Cd 0.5000 0.5000 0.5000 (multiplicity 1)
I 0.0000 0.5000 0.5000 (multiplicity 3)

Output
Spin magnetization   3.87 μB per formula unit

=====

Entry 6:
Density functional theory data (meta-GGA SCAN) for a PBEsol-optimized structure of NbCdSbI2.

Unit cell a=5.5559 b=5.5559 c=5.4742 alpha=90.00 beta=90.00 gamma=90.00
Space group P4/mmm (No. 123)
Inequivalent atoms, fractional coordinates:
Nb 0.0000 0.0000 0.0000 (multiplicity 1)
Cd 0.5000 0.5000 0.5000 (multiplicity 1)
Sb 0.5000 0.5000 0.0000 (multiplicity 1)
I 0.0000 0.5000 0.5000 (multiplicity 2)

Output
Spin magnetization   2.61 μB per formula unit

=====

Entry 7:
Density functional theory data (meta-GGA SCAN) for a PBEsol-optimized structure of CdIO4.

Unit cell a=11.1677 b=6.6148 c=4.6944 alpha=90.00 beta=90.00 gamma=90.00
Space group Pnma (No. 62)
Inequivalent atoms, fractional coordinates:
*/
- Upholstery
- Varnish
- Vinyl flooring
How Do VOCs Affect Your Health?
In addition to the general short and long-term health effects, two illnesses are specific to volatile organic compounds: Sick Building Syndrome and Building Related Illness.
These terms are used to describe situations where people may experience “acute health and comfort effects” inside of a building, according to the EPA. The complaint can be in one specific room, or a problem across the entire building.
“Sick building syndrome” is used when the cause of the discomfort cannot be identified. “Building related illness” is used when the symptoms can be directly attributed to some contaminant in the building.
How do you know if you have a sick building syndrome or building related illness situation on your hands? The EPA says most complainants report relief soon, or immediately after leaving the building.
How to Reduce VOCs in Your Home
Because of the nature of VOCs, they will always be present in both the indoor and outdoor air. However, there are many steps you can take to reduce your exposure to VOCs in your home.
Improve ventilation. One of the biggest things you can do to reduce the amount of VOCs is improving the ventilation in your home, especially when you are using products known to contain VOCs. Improving ventilation won’t just help your home feel comfier, but letting fresh air flow indoors will improve your overall indoor air quality.
Check for formaldehyde. Formaldehyde is one of the most prevalent VOCs in homes, but fortunately, it is also one of the most measurable. We recommend regularly monitoring formaldehyde levels and, if possible, locate the source of the pollution.
Keep products containing VOCs outdoors. If you have VOC-containing products stored in your home, try relocating these products to an outdoor storage area.
Avoid mixing household products. Unless stated on the label that it is safe, mixing household products can create even higher levels of VOCs in your home.
How You Can Protect Your Family From VOCs
If you’re concerned about the health consequences for yourself or your family, it’s important to schedule a test for dangerous compounds. A Sansone HVAC professional can help you test the levels of various dangerous chemicals in your home, identify sources of contamination, and make recommendations to improve the safety of the air in your home.
For assistance and guidance in dealing with known or suspected adverse effects of indoor air pollution, contact the U.S. Environmental Protection Agency Indoor Air Quality Information Clearinghouse [IAQ INFO] (1-800-438-4318), EPA regional offices, and state and local departments of health and environmental quality, and your local American Lung Association (1-800-LUNG-USA). For information on particular product hazards, contact the U.S. Consumer Product Safety Commission (1-800-638-CPSC). Individual manufacturers, as well as trade associations, may also supply pertinent information. For information about the regulation of specific pollutants, call the EPA Toxic Substances Control Act (TSCA) Assistance Information Service (202-554-1404). If you need information relating to occupational exposures, contact the Occupational Safety and Health Administration (202-523-6091) or the National Institute of Occupational Safety and Health (1-800-35-NIOSH). For information on lead, contact the National Lead Information Center (1-800-LEAD FYI). For information on pesticides, contact the National Pesticides Telecommunications Network (1-800-858-PEST).
You can also view the EPA’s website for more information about indoor air quality and protecting yourself from volatile organic compounds.
What Else Can I Do?
Fortunately, there are lots of ways you can reduce the number of VOCs and indoor air pollutants in your home. The EPA has a comprehensive guide to indoor air quality, which includes simple tips like opting for all-natural cleaning products and reducing the amount of aerosol products you use.
Great resources on improving your home’s air quality:
7 Easy Ways to Improve Indoor Air Quality
4 Houseplants That Can Boost Indoor Air Quality
Everything You Need to Know About Indoor Air Quality
When it comes to reducing indoor air pollutants, your home’s air conditioning system is your biggest line of defense. After all, your HVAC system works to ventilate your home and circulate fresh air. However, if your HVAC system is old or has been poorly maintained, it won’t be able to do its job efficiently.
Contact Sansone for AC Maintenance Services in South Florida
Did you know that one of the easiest and most efficient ways to improve the indoor air quality in your home is by maintaining your air conditioning system? When your air conditioning system receives regular tune-ups and is functioning at peak efficiency, it can easily filter out potentially harmful pollutants, VOCs and the like. On the other hand, forgoing routine maintenance presents a series of issues including the decreased lifespan of your system, increased need for repairs, insufficient cooling, poor IAQ and much more.
At Sansone, your family’s safety comes first, which is why we offer quality maintenance services. When you have one of our professional technicians service your air conditioning system, you can rest assured that your system is delivering the cleanest air possible. Give us a call to learn more about our quality maintenance services, or schedule your appointment online today!
Professional maintenance provided by your local HVAC company will help ensure your air conditioning and heating systems are clean and functioning efficiently, delivering air quality boosting power. At Sansone, our comprehensive maintenance services are proven to reduce indoor air pollutants all while saving you money on your energy costs.